View Full Version : Best choice of Bait and Bucktails

[These materials data were left in the article by mistake]
- - -
Below is a relaxed structure of Cr3Re, with properties calculated at the GGA-PBE level.

Cell and atoms, written as CIF:
```
data_Cr3Re
_chemical_formula_sum 'Cr3 Re1'
_symmetry_space_group_name_H-M 'P m -3 m'
_symmetry_Int_Tables_number 221
_symmetry_space_group_name_Hall '-P 4 2 3'
_cell_length_a 3.7080
_cell_length_b 3.7080
_cell_length_c 3.7080
_cell_angle_alpha 90.00
_cell_angle_beta 90.00
_cell_angle_gamma 90.00
loop_
_atom_site_label
_atom_site_type_symbol
_atom_site_fract_x
_atom_site_fract_y
_atom_site_fract_z
_atom_site_occupancy
Cr1 Cr 0.0000 0.0000 0.5000 1
Re1 Re 0.5000 0.5000 0.5000 1
```

Values from the calculation:
DFT total energy   -10.054 eV/atom
Mass density   11.15 g cm⁻³
Energy of formation from the pure elements   0.2760 eV per atom

=====

Entry 1:
The following is a GGA-PBE calculation of a relaxed structure of Tb3Pm4Zn4, from Alexandria via LeMat-Bulk.

Cell: 5.131 6.994 9.368 Å, 111.92 105.89 90.00°
Positions (direct):
Tb 0.099 0.099 0.197
Tb 0.901 0.901 0.803
Tb 0.000 0.500 0.000
Pm 0.678 0.447 0.356
Pm 0.678 0.908 0.356
Pm 0.322 0.092 0.644
Pm 0.322 0.553 0.644
Zn 0.500 0.183 0.000
Zn 0.177 0.677 0.354
Zn 0.500 0.817 0.000
Zn 0.823 0.323 0.646

Output
Volume   297.98 Å³ per cell
Total magnetic moment   0.0 μB/f.u.
SG   Immm (71)
Formation enthalpy at 0 K   -0.100 eV/atom
Calculated total energy   -3.55 eV per atom

=====

Entry 2:
The following is a GGA-PBE calculation of a relaxed structure of Pm2YTl2, from Alexandria via LeMat-Bulk.

Cell: 3.549 9.275 9.275 Å, 90.00 90.00 90.00°
Last column: magnetic moment on the atom in μB.
Positions (direct):
Pm 0.000 0.122 0.622  -0.05
Pm 0.000 0.378 0.122  -0.05
Pm 0.000 0.878 0.378  -0.05
Pm 0.000 0.622 0.878  -0.05
Tl 0.500 0.677 0.177  0.00
Tl 0.500 0.323 0.823  0.00
Tl 0.500 0.823 0.677  0.00
Tl 0.500 0.177 0.323  0.00
Y 0.000 0.000 0.000  0.27
Y 0.000 0.500 0.500  0.27

Output
Volume   305.27 Å³ per cell
ΔE to the lowest computed polymorph   207 meV/atom
Total magnetic moment   0.3 μB/f.u.
SG   P4/mbm (127)
Formation enthalpy at 0 K   -0.122 eV/atom
Calculated total energy   -4.26 eV per atom

=====

Entry 3:
The following is a GGA-PBE calculation of a relaxed structure of PuNpNi2, from Alexandria via LeMat-Bulk.

Cell: 3.524 3.524 5.892 Å, 90.00 90.00 90.00°
Last column: magnetic moment on the atom in μB.
Positions (direct):
Np 0.500 0.500 0.000  3.71
Ni 0.000 0.000 0.227  -0.06
Ni 0.000 0.000 0.773  -0.06
Pu 0.500 0.500 0.500  5.35

Output
Volume   73.18 Å³ per cell
ΔE to the lowest computed polymorph   0 meV/atom
Total magnetic moment   9.4 μB/f.u.
SG   P4/mmm (123)
Formation enthalpy at 0 K   0.088 eV/atom
Calculated total energy   -9.62 eV per atom

=====

Entry 4:
The following is a GGA-PBE calculation of a relaxed structure of CoHg2PdRu, from Alexandria via LeMat-Bulk.

Cell: 4.829 4.549 4.829 Å, 90.00 90.00 90.00°
Last column: magnetic moment on the atom in μB.
Positions (direct):
Pd 0.000 0.500 0.000  0.30
Ru 0.500 0.500 0.500  2.02
Hg 0.000 0.000 0.500  -0.03
- - -

08-17-2024, 06:02 PM
Looking to get some feedback on some go to baits and bucktails for fluke..

08-17-2024, 06:36 PM
Looking to get some feedback on some go to baits and bucktails for fluke..

Dano......You know the bait!!:)

Gerry Zagorski
08-17-2024, 07:14 PM
So were taking strictly bait here? If so, hard to beat fluke ribbons for the bucktail and teaser. Just be aware you can't "legally" bring them with you so need to catch a keeper, strip it and keep the rack in case you're boarded and checked. Sea Robin strips work well too as does Salmon Bellies, if you can find them at your local Asian Market. They are tough baits that hold up well and cheap too...

Having said all this, Gulp tipped with spearing or squid works well as does tipping with Salmon Bellies and this is a good strategy because you get some movement from the gulp tails and for whatever reason, the fish seems to want meat this year...

08-18-2024, 01:54 AM
Double tandem whole squid 🦑 rig is the best. That’s how I won the pool on NJ fluke party boats 🛥️ 26 times in one summer when the fare was $5 for a half day trip back in the good old days. No modern day fisherman will ever do half as well with the new fluking techniques. Also catching my 12.5 lb fluke with a platinum blonde fly on the Manasquan Inlet north jetty was amazing.

08-18-2024, 06:18 AM
I agree with the whole squid.. Problem is cost these days.. However, I don't think anything is better for really big fluke. I would put live or fresh dead peanut bunker close, but they get lots of small fish too. Honorable mention to very large live killies, but those real big ones are hard to find, unless you have secret spot to catch your own. If you like to spend really big money on your bait, big sand worms are also a terrific big Fluke bait, they hit them instantly.. However so do sea robins, Blues, Bergalls,eels, toads, and every other weird fish in the ocean.. To this day, for numbers of fluke, not size, I still like a plain old spearing , squid strip, or both on an English hook.

08-18-2024, 07:49 PM
Always looking for a secret weapon but if it was posted it wouldn't be a secret anymore .........................LOL

The entry is interrupted by calculated crystals.
~~~
(1)
Compound: TbPm3PrDy
Source: the Alexandria database
Functional: PBE
Structure: relaxed

a = 8.101 Å, b = 5.142 Å, c = 10.260 Å
α = 90.00°, β = 108.52°, γ = 90.00°
Space group P2_1/m (No. 11)
One atom of each set of equivalent atoms:
Tb 0.001 0.250 0.125
Pm 0.330 0.250 0.457
Pm 0.330 0.250 0.958
Pm 0.330 0.750 0.208
Pr 0.331 0.750 0.708
Dy 0.000 0.250 0.625

Values from the calculation:
crystal system	monoclinic
raw total energy	-4.692	eV/atom



(2)
Compound: Nd2DyTm
Source: the Alexandria database
Functional: PBE
Structure: relaxed

a = 3.611 Å, b = 3.611 Å, c = 10.103 Å
α = 90.00°, β = 90.00°, γ = 90.00°
Space group P4/mmm (No. 123)
One atom of each set of equivalent atoms:
Nd 0.000 0.000 0.248
Dy 0.500 0.500 0.500
Tm 0.500 0.500 0.000

Values from the calculation:
crystal system	tetragonal
raw total energy	-4.631	eV/atom



(3)
Compound: NaSbTe
Source: the Alexandria database
Functional: PBE
Structure: relaxed

a = 4.292 Å, b = 4.537 Å, c = 5.128 Å
α = 90.00°, β = 90.00°, γ = 90.00°
Space group Pmmm (No. 47)
One atom of each set of equivalent atoms:
Na 0.000 0.000 0.000
Sb 0.500 0.000 0.500
Te 0.000 0.500 0.500

Values from the calculation:
crystal system	orthorhombic
raw total energy	-3.142	eV/atom
formation energy (no corrections)	-0.28	eV/atom



What did the first record say?
Compound: TbPm3PrDy
Source: the Alexandria database
Functional: PBE
Structure: relaxed

a = 8.101 Å, b = 5.142 Å, c = 10.260 Å
α = 90.00°, β = 108.52°, γ = 90.00°
Space group P2_1/m (No. 11)
One atom of each set of equivalent atoms:
Tb 0.001 0.250 0.125
Pm 0.330 0.250 0.457
Pm 0.330 0.250 0.958
Pm 0.330 0.750 0.208
Pr 0.331 0.750 0.708
Dy 0.000 0.250 0.625

Values from the calculation:
crystal system	monoclinic
raw total energy	-4.692	eV/atom



Copy entry 2 word for word.
Compound: Nd2DyTm
Source: the Alexandria database
Functional: PBE
Structure: relaxed

a = 3.611 Å, b = 3.611 Å, c = 10.103 Å
α = 90.00°, β = 90.00°, γ = 90.00°
Space group P4/mmm (No. 123)
One atom of each set of equivalent atoms:
Nd 0.000 0.000 0.248
Dy 0.500 0.500 0.500
Tm 0.500 0.500 0.000

Values from the calculation:
crystal system	tetragonal
raw total energy	-4.631	eV/atom



Please write out number 2 again, unchanged.
Compound: Nd2DyTm
Source: the Alexandria database
Functional: PBE
Structure: relaxed

a = 3.611 Å, b = 3.611 Å, c = 10.103 Å
α = 90.00°, β = 90.00°, γ = 90.00°
Space group P4/mmm (No. 123)
One atom of each set of equivalent atoms:
Nd 0.000 0.000 0.248
Dy 0.500 0.500 0.500
Tm 0.500 0.500 0.000

Values from the calculation:
crystal system	tetragonal
raw total energy	-4.631	eV/atom

----------

Record 1
# LaTa4Pt

A geometry-optimized LaTa4Pt structure (PBE, Alexandria via LeMat-Bulk).

Lattice parameters (Å, degrees): 7.9273 7.9273 7.9273 90.00 90.00 90.00
Space group F-43m (No. 216)
Inequivalent atoms, fractional coordinates:
La 0.0000 0.0000 0.0000
Ta 0.1257 0.1257 0.3743
Pt 0.2500 0.2500 0.7500

Output
* energy relative to the elements: 0.298 eV/atom
~~~
Back to the entry.

08-19-2024, 10:00 AM
Foolish discussion.

EVERYONE knows fluke can ONLY be caught on bucktails and Gulp.:rolleyes:

08-19-2024, 11:16 AM
If this is bait fishing only it varies based on if I’m in the ocean or the bay.

Ocean - large 5”-8” strip of tuna belly or any pelagic / oily fish that has been salted for at least 2-3 days to keep them extra durable. I fish these on the lightest bucket I can get away with, no stinger hook.

Bay - live snapper

08-19-2024, 11:48 AM
I caught a 7 lb. 4 0z fluke in the ocean on a live peanut bunker on a high/low rig friday. I like live bait first ( snapper blue Killies or peanut bunker first ) Fresh bait next including fluke ribbons, and frozen baits like squid or spearing/ sand eels last . Try to match the hatch, as fly fishermen say

Grateful Dad
08-20-2024, 12:53 PM
Foolish discussion.

**Between two parts of the piece: data records**
<<<
K2Ag2Au15 | PBE | optimized geometry

Properties
**Formation enthalpy at 0 K**: -0.12 eV per atom
**Space group**: R-3m, No. 166

abc: 7.361 7.361 7.361
angles: 83.85 83.85 83.85
Atoms (fractional coordinates):
K 0.154 0.154 0.154
K 0.846 0.846 0.846
Ag 0.401 0.401 0.401
Ag 0.599 0.599 0.599
Au 0.000 0.500 0.500
Au 0.156 0.156 0.654
Au 0.156 0.654 0.156
Au 0.194 0.500 0.806
Au 0.194 0.806 0.500
Au 0.346 0.844 0.844
Au 0.500 0.000 0.500
Au 0.500 0.194 0.806
Au 0.500 0.500 0.000
Au 0.500 0.806 0.194
Au 0.654 0.156 0.156
Au 0.806 0.194 0.500
Au 0.806 0.500 0.194
Au 0.844 0.346 0.844
Au 0.844 0.844 0.346

AlSi2Pt2 | PBE | optimized geometry

Properties
**Raw formation energy**: -0.244 eV per atom
**Space group**: P4/mbm, No. 127

abc: 6.834 6.834 3.401
angles: 90.00 90.00 90.00
Atoms (fractional coordinates):
Al 0.000 0.000 0.000
Al 0.500 0.500 0.000
Si 0.161 0.339 0.500
Si 0.339 0.839 0.500
Si 0.661 0.161 0.500
Si 0.839 0.661 0.500
Pt 0.148 0.648 0.000
Pt 0.352 0.148 0.000
Pt 0.648 0.852 0.000
Pt 0.852 0.352 0.000

NdSc2N | PBE | optimized geometry

Properties
**Raw formation energy**: -0.244 eV per atom
**ΔE to the lowest computed polymorph**: 563.9 meV/atom
**Space group**: P4/mmm, No. 123

abc: 3.000 3.000 8.542
angles: 90.00 90.00 90.00
Atoms (fractional coordinates):
Nd 0.000 0.000 0.000
Sc 0.500 0.500 0.351
Sc 0.500 0.500 0.649
N 0.000 0.000 0.500

Number 1: calculated volume 20.7 A^3/atom. Number 2: calculated volume 15.9 A^3/atom. Number 3: calculated volume 19.2 A^3/atom.
>>>

EVERYONE knows fluke can ONLY be caught on bucktails and Gulp.:rolleyes:

Dan, you're not giving the whole story...
Only the newly released colors of Gulp! Work for fluke. Once a new color comes out, the others don't work anymore.

08-20-2024, 08:19 PM
Asian markets have some nice salmon bellies looking to try out.............

Look even cheaper then GULP.

08-21-2024, 08:48 AM
When I was a kid growing up on LBI, many years ago, the old guys all told me there was only one way to catch fluke " Gold Hooks, Gold Hooks, Gold Hooks " Things change, I guess.........